Contents:
____________
(1)
DFT (ωB97M-V/def2-TZVPD) results for a molecular structure, C2H6O3Sn at a distorted geometry.

Geometry (Å):
C  -0.847  -1.713  0.093
O  1.103  0.954  -0.859
H  -0.963  0.843  -0.593
H  -0.420  -2.698  -0.110
O  0.245  -0.788  0.042
H  0.451  1.767  1.783
H  -1.294  -1.655  1.091
H  0.915  2.320  0.292
Sn  2.337  -0.251  -1.774
C  0.034  0.456  -0.343
O  0.035  2.229  1.047
H  -1.596  -1.465  -0.669

Results
Multiplicity: 2
E_tot (eV): -14135.213
Maximum force (eV/A): 5.3
Total charge: +1

***

(2)
DFT (ωB97M-V/def2-TZVPD) results for C2H6O4 in the gas phase.

Geometry (Å):
H  2.528  1.375  0.288
O  0.000  -0.415  -0.606
H  -2.000  -1.687  -0.763
C  -1.142  -0.259  0.210
H  1.723  0.124  1.267
H  2.613  -0.347  -0.212
O  -1.787  -1.469  0.155
H  -1.992  0.814  -1.150
O  0.854  0.714  -0.521
O  -1.911  0.808  -0.185
H  -0.877  -0.080  1.261
C  1.992  0.423  0.257

Results
Structure (SMILES): COOC(O)O
Maximum force (eV/A): 1.0
Relative energy (zero: lowest compared OMol25 entry of this formula, charge and spin) (kJ/mol): 314.4

***

(3)
DFT (ωB97M-V/def2-TZVPD) results for a molecular structure, C2H6O4 at a distorted geometry.

Geometry (Å):
H  0.920  0.521  -1.773
H  2.427  0.636  -0.840
O  -0.681  -0.229  1.659
O  0.876  -0.347  0.085
H  -0.863  -2.337  0.570
H  0.485  -0.121  1.245
C  1.336  0.673  -0.773
C  -1.009  -0.480  0.427
H  -1.583  1.277  0.144
H  1.047  1.675  -0.428
O  -1.327  -1.702  0.009
O  -1.628  0.433  -0.325

Results
Maximum force (eV/A): 1.3
Relative energy (zero: lowest compared OMol25 entry of this formula, charge and spin) (kJ/mol): 163.8

***

(4)
DFT (ωB97M-V/def2-TZVPD) results for 2 unconnected molecules or ions with the total composition C2H6O4 at a distorted geometry.

Geometry (Å):
O  2.425  -2.020  -2.801
H  -0.357  0.546  -1.974
O  0.524  3.516  -0.765
H  0.884  1.409  -1.021
C  -0.124  0.954  -0.972
O  0.000  0.000  0.000
O  -1.079  1.921  -0.563
H  2.368  -1.047  -2.665
H  -0.881  -0.425  0.066
C  -0.650  3.160  -0.507
H  1.560  -2.265  -3.202
H  -1.475  3.753  -0.067

Results
Structure (SMILES): O=COCO.O
Maximum force (eV/A): 4.1
Relative energy (zero: lowest compared OMol25 entry of this formula, charge and spin) (kJ/mol): 89.7

***

(5)
DFT (ωB97M-V/def2-TZVPD) results for a molecular structure, C2H6ORbS at a distorted geometry.

Geometry (Å):
C  -0.052  -0.204  -8.987
Rb  1.365  2.365  -5.107
H  0.947  -0.424  -8.608
H  0.672  2.342  -10.091
H  1.678  2.403  -8.592
O  -0.649  1.608  -6.885
H  0.443  3.654  -9.018
H  0.003  -0.453  -10.047
C  0.699  2.594  -9.031
H  -0.636  -0.959  -8.461
S  -0.640  1.464  -8.453

Results
Multiplicity: 2
E_tot (eV): -15706.426
Maximum force (eV/A): 3.1

***

(6)
DFT (ωB97M-V/def2-TZVPD) results for 2 unconnected molecules or ions with the total composition C2H6OS at a distorted geometry.

Geometry (Å):
H  4.211  -3.624  -1.607
H  -3.128  1.072  1.346
H  4.731  -3.706  -3.354
O  2.847  -3.168  -3.142
S  -3.626  3.008  2.444
H  -2.680  3.900  2.771
H  -1.698  1.696  2.184
C  -2.482  1.917  1.469
C  3.909  -3.425  -2.650
H  -2.084  2.329  0.540

Results
Structure (SMILES): C=O.CS
Maximum force (eV/A): 2.4
Relative energy (zero: lowest compared OMol25 entry of this formula, charge and spin) (kJ/mol): 84.2

***

> Which value of maximum force does entry 2 give?

1.0 eV/A

=====

A structure of composition C11H16O2S, computed with the ωB97M-V functional and the def2-TZVPD basis.

The geometry in XYZ format:
```
30
Properties=species:S:1:pos:R:3:lowdin_charge:R:1
C -1.423 -0.474 -1.191 -0.036
C -0.352 -0.217 -0.420 -0.287
C 1.120 -0.928 -2.368 -0.375
C 1.149 2.055 2.190 -0.276
C -1.060 -0.266 1.973 -0.092
C -0.489 0.414 0.929 -0.335
C -1.306 -0.961 -2.572 -0.195
C -0.041 -0.525 -3.231 -0.118
C 1.002 -0.426 -0.944 -0.267
C -1.371 0.305 3.303 -0.102
C 1.893 -1.343 -0.094 -0.039
O 2.067 -1.547 -2.759 0.112
O -1.004 3.041 1.478 -0.415
S 0.007 2.105 1.051 0.709
H -2.403 -0.100 -0.660 0.162
H 1.267 2.936 2.933 0.075
H 1.833 1.230 2.248 0.011
____________

Request:
Next, duplicate the rows earlier on without additions.

Response:
(1)
DFT (ωB97M-V/def2-TZVPD) results for a molecular structure, C2H6O3Sn at a distorted geometry.

Geometry (Å):
C  -0.847  -1.713  0.093
O  1.103  0.954  -0.859
H  -0.963  0.843  -0.593
H  -0.420  -2.698  -0.110
O  0.245  -0.788  0.042
H  0.451  1.767  1.783
H  -1.294  -1.655  1.091
H  0.915  2.320  0.292
Sn  2.337  -0.251  -1.774
C  0.034  0.456  -0.343
O  0.035  2.229  1.047
H  -1.596  -1.465  -0.669

Results
Multiplicity: 2
E_tot (eV): -14135.213
Maximum force (eV/A): 5.3
Total charge: +1

***

(2)
DFT (ωB97M-V/def2-TZVPD) results for C2H6O4 in the gas phase.

Geometry (Å):
H  2.528  1.375  0.288
O  0.000  -0.415  -0.606
H  -2.000  -1.687  -0.763
C  -1.142  -0.259  0.210
H  1.723  0.124  1.267
H  2.613  -0.347  -0.212
O  -1.787  -1.469  0.155
H  -1.992  0.814  -1.150
O  0.854  0.714  -0.521
O  -1.911  0.808  -0.185
H  -0.877  -0.080  1.261
C  1.992  0.423  0.257

Results
Structure (SMILES): COOC(O)O
Maximum force (eV/A): 1.0
Relative energy (zero: lowest compared OMol25 entry of this formula, charge and spin) (kJ/mol): 314.4

***

(3)
DFT (ωB97M-V/def2-TZVPD) results for a molecular structure, C2H6O4 at a distorted geometry.

Geometry (Å):
H  0.920  0.521  -1.773
H  2.427  0.636  -0.840
O  -0.681  -0.229  1.659
O  0.876  -0.347  0.085
H  -0.863  -2.337  0.570
H  0.485  -0.121  1.245
C  1.336  0.673  -0.773
C  -1.009  -0.480  0.427
H  -1.583  1.277  0.144
H  1.047  1.675  -0.428
O  -1.327  -1.702  0.009
O  -1.628  0.433  -0.325

Results
Maximum force (eV/A): 1.3
Relative energy (zero: lowest compared OMol25 entry of this formula, charge and spin) (kJ/mol): 163.8

***

(4)
DFT (ωB97M-V/def2-TZVPD) results for 2 unconnected molecules or ions with the total composition C2H6O4 at a distorted geometry.

Geometry (Å):
O  2.425  -2.020  -2.801
H  -0.357  0.546  -1.974
O  0.524  3.516  -0.765
H  0.884  1.409  -1.021
C  -0.124  0.954  -0.972
O  0.000  0.000  0.000
O  -1.079  1.921  -0.563
H  2.368  -1.047  -2.665
H  -0.881  -0.425  0.066
C  -0.650  3.160  -0.507
H  1.560  -2.265  -3.202
H  -1.475  3.753  -0.067

Results
Structure (SMILES): O=COCO.O
Maximum force (eV/A): 4.1
Relative energy (zero: lowest compared OMol25 entry of this formula, charge and spin) (kJ/mol): 89.7

***

(5)
DFT (ωB97M-V/def2-TZVPD) results for a molecular structure, C2H6ORbS at a distorted geometry.

Geometry (Å):
C  -0.052  -0.204  -8.987
Rb  1.365  2.365  -5.107
H  0.947  -0.424  -8.608
H  0.672  2.342  -10.091
H  1.678  2.403  -8.592
O  -0.649  1.608  -6.885
H  0.443  3.654  -9.018
H  0.003  -0.453  -10.047
C  0.699  2.594  -9.031
H  -0.636  -0.959  -8.461
S  -0.640  1.464  -8.453

Results
Multiplicity: 2
E_tot (eV): -15706.426
Maximum force (eV/A): 3.1

***

(6)
DFT (ωB97M-V/def2-TZVPD) results for 2 unconnected molecules or ions with the total composition C2H6OS at a distorted geometry.

Geometry (Å):
H  4.211  -3.624  -1.607
H  -3.128  1.072  1.346
H  4.731  -3.706  -3.354
O  2.847  -3.168  -3.142
S  -3.626  3.008  2.444
H  -2.680  3.900  2.771
H  -1.698  1.696  2.184
C  -2.482  1.917  1.469
C  3.909  -3.425  -2.650
H  -2.084  2.329  0.540

Results
Structure (SMILES): C=O.CS
Maximum force (eV/A): 2.4
Relative energy (zero: lowest compared OMol25 entry of this formula, charge and spin) (kJ/mol): 84.2

***

> Which value of maximum force does entry 2 give?

1.0 eV/A

=====

A structure of composition C11H16O2S, computed with the ωB97M-V functional and the def2-TZVPD basis.

The geometry in XYZ format:
```
30
Properties=species:S:1:pos:R:3:lowdin_charge:R:1
C -1.423 -0.474 -1.191 -0.036
C -0.352 -0.217 -0.420 -0.287
C 1.120 -0.928 -2.368 -0.375
C 1.149 2.055 2.190 -0.276
C -1.060 -0.266 1.973 -0.092
C -0.489 0.414 0.929 -0.335
C -1.306 -0.961 -2.572 -0.195
C -0.041 -0.525 -3.231 -0.118
C 1.002 -0.426 -0.944 -0.267
C -1.371 0.305 3.303 -0.102
C 1.893 -1.343 -0.094 -0.039
O 2.067 -1.547 -2.759 0.112
O -1.004 3.041 1.478 -0.415
S 0.007 2.105 1.051 0.709
H -2.403 -0.100 -0.660 0.162
H 1.267 2.936 2.933 0.075
H 1.833 1.230 2.248 0.011